Entries >
........
Below is YMo6Se8 after structural relaxation, with properties calculated at the PBE level.

Results
E ... -7.33 eV/atom
Calculated density ... 6.9 g/cm3
ΔE_f ... -14.290 eV/f.u.

Cell: 9.5306 9.5306 11.9060 Å, 90.00 90.00 120.00°
Space group R-3 (No. 148, hexagonal axes)
Unique sites:
Y1 0.0000 0.0000 0.0000 (multiplicity 3)
Mo1 0.0174 0.1712 0.4053 (multiplicity 18)
Se1 0.0000 0.0000 0.2369 (multiplicity 6)
Se2 0.0057 0.6276 0.7499 (multiplicity 18)


A geometry-optimized LiCu2C2O6 structure, computed with PBE.

Lattice parameters (Å, degrees): 6.5318 5.0398 5.0311 59.89 111.48 89.77
Closest atoms and distances in Å follow each position.
Fractional positions:
1 Li 0.6501 0.6355 0.4240  4 O 1.92-2.00
2 Cu 0.2271 0.7489 0.8424  3 O 1.92-1.95
3 Cu 0.7793 0.2572 0.1667  3 O 1.97-2.01
4 C 0.2544 0.0730 0.1827  3 O 1.29-1.30
5 C 0.7474 0.9291 0.8144  3 O 1.29-1.31
6 O 0.2664 0.3278 0.9374  1 C 1.29
7 O 0.1844 0.0797 0.3899  1 C 1.30
8 O 0.3163 0.8037 0.2239  1 C 1.30
9 O 0.7367 0.1981 0.7849  1 C 1.29
10 O 0.7873 0.8917 0.5974  1 C 1.31
11 O 0.7210 0.6907 0.0607  1 C 1.29

Results
VASP energy ... -6.451 eV/atom
MP2020-corrected energy ... -75.09 eV for the cell shown
Calculated volume ... 129.6 Å³/cell
Calculated formation energy ... -1.53 eV/atom


# 1
# Li4TiV3O8 (PBE+U, optimized geometry)
data_Li4TiV3O8
_chemical_formula_sum 'Li4 Ti1 V3 O8'
_symmetry_space_group_name_H-M 'P 1'
_symmetry_Int_Tables_number 1
_cell_length_a 5.8436
_cell_length_b 5.8436
_cell_length_c 8.3685
_cell_angle_alpha 45.76
_cell_angle_beta 45.76
_cell_angle_gamma 59.88
loop_
_symmetry_equiv_pos_as_xyz
'x,y,z'
loop_
_atom_site_label
_atom_site_type_symbol
_atom_site_fract_x
_atom_site_fract_y
_atom_site_fract_z
Li1 Li 0.4940 0.5060 0.5000
Li2 Li 0.4911 0.0158 0.4953
Li3 Li 0.9842 0.5089 0.5047
Li4 Li 0.9926 0.0074 0.5000
Ti1 Ti 0.9979 0.0021 0.0000
V1 V 0.4923 0.5077 0.0000
V2 V 0.4954 0.0023 0.0008
V3 V 0.9977 0.5046 0.9992
O1 O 0.0042 0.0136 0.2335
O2 O 0.0008 0.5182 0.2367
O3 O 0.5113 0.0152 0.2322
O4 O 0.4835 0.4901 0.7694
O5 O 0.5099 0.5165 0.2306
O6 O 0.4818 0.9992 0.7633
O7 O 0.9848 0.4887 0.7678
O8 O 0.9864 0.9958 0.7665
# - Volume: 9.2 Å³ per atom
# - Crystal system: monoclinic
# - Total magnetization: 7.0 μB per formula unit
# - DFT total energy: -7.078 eV/atom

***

# 2
# Li2Cr3FeO8 (PBE+U, optimized geometry)
data_Li2Cr3FeO8
_chemical_formula_sum 'Li8 Cr12 Fe4 O32'
_symmetry_space_group_name_H-M 'P 1'
_symmetry_Int_Tables_number 1
_cell_length_a 8.3805
_cell_length_b 8.3996
_cell_length_c 8.4171
_cell_angle_alpha 90.26
_cell_angle_beta 90.09
_cell_angle_gamma 90.23
loop_
_symmetry_equiv_pos_as_xyz
'x,y,z'
loop_
_atom_site_label
_atom_site_type_symbol
_atom_site_fract_x
_atom_site_fract_y
_atom_site_fract_z
Li1 Li 0.0013 0.0036 0.9998
Li2 Li 0.7479 0.7508 0.2537
Li3 Li 0.7525 0.2513 0.7526
Li4 Li 0.4986 0.9967 0.4978
Li5 Li 0.4993 0.4976 0.0011
Li6 Li 0.2509 0.7529 0.7503
Li7 Li 0.2510 0.2482 0.2493
Li8 Li 0.9975 0.4991 0.4994
Cr1 Cr 0.8754 0.8771 0.6251
Cr2 Cr 0.8740 0.6278 0.8746
Cr3 Cr 0.8781 0.3708 0.1235
Cr4 Cr 0.6254 0.6214 0.6239
Cr5 Cr 0.6231 0.3721 0.3760
Cr6 Cr 0.6251 0.1250 0.1275
Cr7 Cr 0.3762 0.6243 0.3730
Cr8 Cr 0.3727 0.8775 0.1255
Cr9 Cr 0.3724 0.1251 0.8784
Cr10 Cr 0.1268 0.8794 0.3696
Cr11 Cr 0.1237 0.1256 0.6246
Cr12 Cr 0.1254 0.3742 0.8764
Fe1 Fe 0.8769 0.1250 0.3734
Fe2 Fe 0.6250 0.8747 0.8771
Fe3 Fe 0.3726 0.3766 0.6217
Fe4 Fe 0.1251 0.6255 0.1243
O1 O 0.8867 0.8968 0.3863
O2 O 0.8932 0.1177 0.6166
O3 O 0.8933 0.3947 0.8847
O4 O 0.8695 0.8538 0.8641
O5 O 0.8924 0.6107 0.1143
O6 O 0.8578 0.6366 0.6381
O7 O 0.8649 0.3529 0.3623
O8 O 0.8604 0.1335 0.1336
O9 O 0.6340 0.8553 0.6393
O10 O 0.6470 0.6294 0.8652
O11 O 0.6390 0.3531 0.1352
O12 O 0.6172 0.3942 0.6157
O13 O 0.6362 0.1291 0.3565
O14 O 0.6153 0.6098 0.3893
O15 O 0.6067 0.8912 0.1199
O16 O 0.6147 0.1143 0.8979
O17 O 0.3946 0.6180 0.6135
O18 O 0.3854 0.3854 0.3888
O19 O 0.3887 0.1121 0.1156
O20 O 0.3565 0.6392 0.1321
O21 O 0.3852 0.8861 0.8969
O22 O 0.3658 0.8632 0.3525
........

Exercise >
It remains to search the block further up for the word "Calculated" and set down each line that has it.

Here it is >
Calculated density ... 6.9 g/cm3
Calculated volume ... 129.6 Å³/cell
Calculated formation energy ... -1.53 eV/atom